just because Life feels hard, doesn’t mean you are doing it wrong

Intentions bring meaning into our lives now, so that we can navigate our lives based on what is as opposed to what may be. They’re powerful tools that we can use to instantly direct our focus for as long as we need.

Ryder Carroll
  • My Mimi always encouraged me to “tell it like it is” — to name names and resist “candy-coating” people’s behavior. Wisdom she readily admitted was gained after decades of self-doubt and unfairly blaming herself for other people’s choices.
  • This process started with thirty days of reframing gratitude as paying attention, and acknowledging (giving my attention to the facts of) major events and realities during my wild and precious life. ♥

Gratitude is not a passive response to something we have been given, gratitude arises from paying attention, from being awake in the presence of everything that lives within and without us.

David Whyte
  • I did so because it was time to face the facts of what I did not cause, and what I could not have changed or done differently due to the circumstances.
    • I realized exhaustion effected my judgment and prohibited me from being [fully present] amidst the daily, intense stress of my living during much of my life.
    • I repeatedly ignored what I needed because of faulty beliefs about love and relationships (particularly motherhood); giving energy and attention to the needs of people I loved so dearly, sincerely hoping for their healing and well-being.

Life can feel hard, but that doesn’t mean we are doing it wrong.

We do what we must. We learn. We do better.

=====
(1)
Compound: LiUO3
Source: Materials Project
Functional: r²SCAN
Structure: optimized geometry

Formation energy, meV per atom: -3255
SG: R3c, No. 161

Lattice parameters (Å, degrees): 5.8859 5.8859 5.8859 54.85 54.85 54.85
Positions (direct):
Li1 0.0000 0.0000 0.0000
Li2 0.5000 0.5000 0.5000
U1 0.2276 0.2276 0.2276
U2 0.7276 0.7276 0.7276
O1 0.1254 0.8320 0.4621
O2 0.3320 0.6254 0.9621
O3 0.4621 0.1254 0.8320
O4 0.6254 0.9621 0.3320
O5 0.8320 0.4621 0.1254
O6 0.9621 0.3320 0.6254

(2)
Compound: LiU3O8
Source: Materials Project
Functional: r²SCAN
Structure: optimized geometry

Formation energy, meV per atom: -3454
SG: Amm2, No. 38

Lattice parameters (Å, degrees): 4.1994 6.8669 6.8669 120.33 90.00 90.00
Positions (direct):
Li1 0.0000 0.0000 0.0000
U1 0.5000 0.3044 0.9467
U2 0.5000 0.6474 0.6474
U3 0.5000 0.9467 0.3044
O1 0.0000 0.2718 0.9537
O2 0.0000 0.6974 0.6974
O3 0.0000 0.9537 0.2718
O4 0.5000 0.0409 0.0409
O5 0.5000 0.2982 0.5513
O6 0.5000 0.5513 0.2982
O7 0.5000 0.6313 0.9652
O8 0.5000 0.9652 0.6313

(3)
Compound: Li3UO4
Source: Materials Project
Functional: r²SCAN
Structure: optimized geometry

Formation energy, meV per atom: -2877
SG: I4/mmm, No. 139

Lattice parameters (Å, degrees): 5.2304 5.2304 5.2304 129.56 129.56 74.11
Positions (direct):
Li1 0.0000 0.0000 0.0000
Li2 0.2500 0.7500 0.5000
Li3 0.7500 0.2500 0.5000
U1 0.5000 0.5000 0.0000
O1 0.0000 0.5000 0.5000
O2 0.2594 0.2594 0.0000
O3 0.5000 0.0000 0.5000
O4 0.7406 0.7406 0.0000

(4)
Compound: Li3VO4
Source: Materials Project
Functional: r²SCAN
Structure: optimized geometry

Formation energy, meV per atom: -2560
SG: Pnma, No. 62

Lattice parameters (Å, degrees): 10.8024 6.2877 5.0480 90.00 90.00 90.00
Positions (direct):
Li1 0.0777 0.2500 0.1904
Li2 0.1676 0.5040 0.8131
Li3 0.1676 0.9960 0.8131
Li4 0.3324 0.0040 0.3131
Li5 0.3324 0.4960 0.3131
Li6 0.4223 0.7500 0.6904
Li7 0.5777 0.2500 0.3096
Li8 0.6676 0.5040 0.6869
Li9 0.6676 0.9960 0.6869
Li10 0.8324 0.0040 0.1869
Li11 0.8324 0.4960 0.1869
Li12 0.9223 0.7500 0.8096
V1 0.0855 0.7500 0.3176
V2 0.4145 0.2500 0.8176
V3 0.5855 0.7500 0.1824
V4 0.9145 0.2500 0.6824
O1 0.0649 0.2500 0.7927
O2 0.0869 0.7500 0.6597
O3 0.1614 0.5262 0.2065
O4 0.1614 0.9738 0.2065
O5 0.3386 0.0262 0.7065
O6 0.3386 0.4738 0.7065
O7 0.4131 0.2500 0.1597
O8 0.4351 0.7500 0.2927
O9 0.5649 0.2500 0.7073
O10 0.5869 0.7500 0.8403
O11 0.6614 0.5262 0.2935
O12 0.6614 0.9738 0.2935
O13 0.8386 0.0262 0.7935
O14 0.8386 0.4738 0.7935
O15 0.9131 0.2500 0.3403
O16 0.9351 0.7500 0.2073

Among the records above, which one has the lowest formation energy? LiU3O8


Computed, not measured: an optimized crystal structure of Dy6GaNi2 at the r2SCAN level of DFT.
=====
_End of the data records_

Right brain planning is a respite. It is also a means of expressing, envisioning and experiencing feelings and desires via jotted notes, color and layers of collage.

Source: The Mindful Self-Compassion Workbook by Kristin Neff & Christopher Germer

Braveheart, just because Life feels hard, doesn’t mean we are doing it wrong.

  • To be mindful is to [be here, now]; it is to [compassionately acknowledge] our feelings, thoughts and the way we feel in our bodies [without judgment or self-blame].

Compassionate people ask for what they need. They say no when they need to, and when they say yes, they mean it. They’re compassionate because their boundaries keep them out of resentment.

Brené Brown

Braveheart, life can get better — and we can identify what we want (and need). ♥

Right brain planning is a ritual that [begins with + fosters] self-compassion, focusing on the four essentials of our living:

Afraid to appear selfish, we lose our self. We become self-destructive. Because this self murder is something we seek passively rather than consciously act out, we are often blind to its poisonous grip on us.

Julia Cameron
  • Not as a means of losing our-selves (judging, “rejecting” or minimizing what we are feeling and experiencing) — but a self-compassionate practice of identifying (naming facts about) what we are experiencing, needing and wanting to be/do.
  • Right brain planning is a means of living within appointed seasons, but also just beyond ourselves.

When you reckon with emotion, you can change your narrative. You have to acknowledge your feelings and get curious about the story behind them. Then you can challenge those confabulations and get to the truth.

Brené Brown

🔺Kaleidoscope Perspectives is the theme of the 2024 Right Brain Planner® Annual Kit. It is an invitation to live within appointed seasons, but also just beyond ourselves.

  • To envision our living as an [ongoing option] for [reframing] and discovery and 🪄 imagination.

Thank you kindly for your presence here, Braveheart. 

I appreciate your interest and support.

~love & good wishes~

2024 Right Brain Planner® Kit | field notes | Right Brain Planner® FAQ

2024 Right Brain Planner® Kit [Theme] Kaleidoscope Perspectives ✨ [Focus] — Noticing Beauty (within the kaleidoscope of your living: the ongoing, ever-changing “formations” of color and meaning)

  • This is possible, in part, by {you} and your presence here. But also because of the support of my Ko-fi patrons and the other other member/subscriber communities I host (via their presence, input and paid subscriptions).